Even if you have plenty of hobbies, you might want to consider adding this one: Making policy. Our studies show that spending even a few hours per month shaping local or state policy can significantly improve the health and happiness of your local community. Sustainable Economies Law Center has a whole project dedicated, more or less, to this slogan:
We even made a cartoon video about it. After all, if EVERYONE doesn’t make policy, then SOMEONE ELSE will, and that never turns out well.
How do we get our laws and policies to align with the hopes and dreams of our communities?
Do it ourselves! The Law Center has helped introduce more than a dozen pieces of legislation to support the growth of food micro-enterprise, urban farming, worker cooperatives, housing cooperatives, community currencies, seed sharing, and more! Over seven years, this work has taught us that:
1. The number of new laws and policies we need is, roughly:
System-wide change can only happen through hundreds of thousands of policy advocacy campaigns, each hand-crafted by the people most impacted by the policies. For example, the struggle at Standing Rock has since catalyzed dozens of municipal divestment campaigns in cities across the country to defund the Dakota Access Pipeline. Indigenous and frontline leadership is critical to the #DefundDAPL movement, and offers important lessons to all local and regional policy campaigns.
2. Working on even one new policy can make all the difference!
For example, last year, we formed the Worker Cooperative Policy Brigade, consisting of worker-owners of California worker cooperatives (see the photo below). Guess what! That Brigade is on the verge of getting a CA law passed that will help worker cooperatives enormously! Plus, some of these worker-owners are now inspired to get more involved in policymaking going forward! That’s a double win for democracy!
3. Making policy can be fun.
**These calculated crystals were left in the piece by mistake:**
(1)
# TcRuW2

Crystalline TcRuW2 at its relaxed geometry (GGA-PBE, Alexandria via LeMat-Bulk).

Its space group is Fm-3m, No. 225. The distance to the lowest polymorph of the same formula comes out at 0.110 eV/atom. For the density of states at the Fermi level, the calculation gives 1.928 states/eV/atom.

a b c (Å): 4.424 4.424 4.424
angles (deg): 60.00 60.00 60.00
Element x y z (fractional)
W (0.250, 0.250, 0.250)
Ru (0.500, 0.500, 0.500)
W (0.750, 0.750, 0.750)
Tc (0.000, 0.000, 0.000)



(2)
# TcRuW2

Crystalline TcRuW2 at its relaxed geometry (GGA-PBE, Alexandria via LeMat-Bulk).

Its space group is P4/mmm, No. 123. The distance to the lowest polymorph of the same formula comes out at 0.001 eV/atom. For the density of states at the Fermi level, the calculation gives 1.074 states/eV/atom.

a b c (Å): 3.889 3.961 3.961
angles (deg): 90.00 90.00 90.00
Element x y z (fractional)
W (0.000, 0.500, 0.500)
W (0.000, 0.000, 0.000)
Tc (0.500, 0.000, 0.500)
Ru (0.500, 0.500, 0.000)



(3)
# TcRu2W

Crystalline TcRu2W at its relaxed geometry (GGA-PBE, Alexandria via LeMat-Bulk).

Its space group is I-42d, No. 122. The distance to the lowest polymorph of the same formula comes out at 1.370 eV/atom. For the density of states at the Fermi level, the calculation gives 1.311 states/eV/atom.

a b c (Å): 5.549 5.549 6.865
angles (deg): 66.16 66.16 90.00
Element x y z (fractional)
Ru (0.133, 0.625, 0.250)
Tc (0.250, 0.750, 0.500)
Ru (0.617, 0.125, 0.250)
W (0.000, 0.000, 0.000)
Tc (0.500, 0.500, 0.000)
Ru (0.875, 0.867, 0.750)
W (0.750, 0.250, 0.500)
Ru (0.375, 0.383, 0.750)



(4)
# Tc2Ru5W

Crystalline Tc2Ru5W at its relaxed geometry (GGA-PBE, Alexandria via LeMat-Bulk).

Its space group is Fmm2, No. 42. For the density of states at the Fermi level, the calculation gives 0.621 states/eV/atom.

a b c (Å): 5.456 5.456 5.455
angles (deg): 119.88 119.88 90.23
Element x y z (fractional)
Ru (0.278, 0.779, 0.000)
Ru (0.777, 0.278, 0.000)
Ru (0.283, 0.273, 0.000)
Tc (0.774, 0.277, 0.495)
W (0.777, 0.779, 0.000)
Tc (0.279, 0.782, 0.505)
Ru (0.778, 0.778, 0.500)
Ru (0.278, 0.278, 0.500)



(5)
# Tc2RuW

Crystalline Tc2RuW at its relaxed geometry (GGA-PBE, Alexandria via LeMat-Bulk).

Its space group is R3m, No. 160. The distance to the lowest polymorph of the same formula comes out at 0.213 eV/atom. For the density of states at the Fermi level, the calculation gives 0.541 states/eV/atom.

a b c (Å): 4.371 4.371 4.490
angles (deg): 60.87 60.87 60.00
Element x y z (fractional)
Tc (0.250, 0.250, 0.250)
Tc (0.025, 0.025, 0.924)
W (0.499, 0.499, 0.502)
Ru (0.725, 0.725, 0.824)



(6)
# Tc2RuW

Crystalline Tc2RuW at its relaxed geometry (GGA-PBE, Alexandria via LeMat-Bulk).

Its space group is R-3m, No. 166. The distance to the lowest polymorph of the same formula comes out at 0.109 eV/atom. For the density of states at the Fermi level, the calculation gives 1.472 states/eV/atom.

a b c (Å): 9.221 9.221 9.221
angles (deg): 17.18 17.18 17.18
Element x y z (fractional)
**Here the piece continues:**
It’s a little like a team sport: You work with others, make new friends, plan your moves, give it your best shot, and celebrate your successes. And, of course, always take an exuberant photo in front of city hall. Here are a bunch of cooperative enthusiasts after Oakland passed our resolution to support worker cooperatives.
4. There is so much potential at local and state levels.
While the news media dwells on scandals and gridlocking partisan politics in Washington DC, we can innovate and make progress at local and state levels, then watch the ripple effects across the nation. For example, we’ve been working with a group of compost entrepreneurs to influence local and state compost laws. We have also been supporting a network of community land trusts to remove state-level barriers to permanently affordable housing and limited equity housing cooperatives.
Here’s what the Law Center is up to (and some of this involves YOU!):
Policy Cafes: Do you have an idea to change your community for the better? Do you have questions about policymaking on a local or state level? Do you want to explore your inner policymaker? Join us on August 22 and/or October 18th for our Policy Cafes, where you can get one-on-one advice from experienced policy advocates. Each policy cafe will begin with a short workshop on the ins and outs of policymaking. The August 22 workshop will provide a broad overview of policymaking process and tips, and the October 18th workshop will focus on California state legislation.
Webinar: California Legislature, Here We Come! Learn about the process of organizing a CA legislative campaign, how to work with legislators and their staff, how laws get written and amended, and how to research California statutes. Find out more and RSVP here.
Policy Teams: Having successfully convened stakeholder groups to lead policy work in 2017, we’ll be gearing up to support more policy teams later this year (like the Policy Brigade described here).
Collaborative Policy Agendas: We’re building coalitions, such as through working groups of the New Economy Coalition, to develop and advance collective policy agendas to support worker cooperative, economic localization, and more! Keep an eye on our campaigns page for updates.
Policy Cafe & Teach-In, August 22 & October 18 (Oakland, CA)
Do you have an idea to change your community for the better? Do you have questions about policymaking on a local or state level? Do you want to explore your inner policymaker? Come get answers, ideas, and strategies from our center's staff, experienced attorneys and policymakers! RSVP here for August 22nd, and here for October 18th.
Creative Funding Lawyer Workshop, August 21-22 (Oakland, CA)
This one isn't sponsored by us, but it's related to the topic of this newsletter, and we think that our volunteers and lawyer friends could find it helpful in learning the ins and outs of capital raising and securities law. The instructor, Jenny Kassan (who happens to be the Law Center's Co-Founder) is offering a 25% discount to Law Center friends and fans (you). Here's the secret code: SELC25
On-the-Spot Legal Advising Training for Attorneys, August 29 (Oakland, CA)
Giving legal advice on-the-spot sometimes feels like flying by the seat of our pants. Sometimes it’s hard to know where to begin, hard to present information in a clear and organized way, and hard to remember to bring up key legal issues. If you are, have been, or would like to start being a volunteer at our award winning Resilient Communities Legal Cafe, this workshop is for you! RSVP here.
Volunteers Happy Hour, August 29 (Oakland, CA)
Come celebrate the building of community resilience with Law Center staff and cultivate connections at our upcoming volunteers happy hour! RSVP here.
ComCap17, September 10 - 13 (Monterey, CA)
Sustainable Economies Law Center’s Janelle Orsi and Christina Oatfield will be speaking among many other local economy leaders about the critical topic of local investing. Learn about inspiring examples of local investing from around the US, get updated about major legislative developments and challenges, review elements of securities laws, and meet like-minded changemakers. The Law Center’s friends and fans get a 10% discount by registering at this link.
Nonprofit Democracy Network, September 25-27 (Oakland, CA)
At Sustainable Economies Law Center, we envision a world where organizations embody the radical visions of justice that they promote in the world directly in their organizational governance. After years of practice, learning from others, conducting research, and providing consultations and training, we are gathering a cohort of organizations who share this vision to learn and grow together: the Nonprofit Democracy Network. Learn more here.
Webinar: California Legislature, Here We Come! October 25 (Anywhere with internet access!)
Learn about the process of organizing a CA legislative campaign, how to work with legislators and their staff, how laws get written and amended, how to research California statutes, and some tips and strategies for success in state-level policy advocacy. Hear from our staff, Christina Oatfield and Cameron Rhudy, about their years of adventures in and around our state capitol. Register here.
Resilient Communities Legal Cafe (East Bay)
The Resilient Communities Legal Cafe provides direct legal advice, workshops, teach-ins, discussions, and legal services to businesses and organizations that are trying to make their communities a better place to live and thrive. Come, ask us your questions, and join others from your neighborhood who are taking their livelihoods, communities, and economies back! See dates and locations here.